The Phantom Of The Opera – 1989 (Blu-ray Review)
Sometime in the later 1980s, the famous books and story of The Phantom Of The Opera fell into public domain; meaning anybody could make their own cinematic, televised or stage rendition of it without having to jump through hoops to get the rights. Coming of the success of Halloween 4: The Return Of Michael Myers, director Dwight H Little wanted to get the first one done before countless others threw their cards in the hat. He snagged up fright icon Robert Englund at the peak of his pop culture popularity as well as one of the “it girls” of the moment Jill Schoelen to do his own take on the story. Largely forgotten, this was a pretty hyped and anticipated film back in 1989. Not just in the horror community either. The film wound up being a crushing disappointment both from a critical and box office perspective. However, through the annals of home video, the film first began finding itself an audience of appreciators on VHS and even more when it was released on DVD. Here it comes to the next format, where it hopes to find even more new fans. This makes it the perfect candidate for a Scream Factory release.

Between two parts of the article: crystal structures.
┌──
[1]
Theoretical X-ray powder pattern
Compound: Fe
Radiation: Cu Kα X-rays
Structure: a DFT-relaxed cell (PBE, the Materials Project)
Lines closer than 0.1° are merged.

Structure:
```
Fe
1.0
0.000 1.726 1.855
1.700 0.000 1.855
1.700 1.726 0.000
Fe
1
Direct
0.000 0.000 0.000 Fe
```

Largest 8 diffraction maxima, low angle first, 2θ = 15–90°:
44.68 deg, I 100.0; 49.12 deg, I 18.5; 53.05 deg, I 14.4; 53.93 deg, I 13.7; 75.19 deg, I 9.2; 75.92 deg, I 9.0; 79.06 deg, I 8.0; 88.85 deg, I 11.8

***

[2]
Theoretical X-ray powder pattern
Compound: Fe
Radiation: Cu Kα X-rays
Structure: a DFT-relaxed cell (PBE, the Materials Project)
Lines closer than 0.1° are merged.

Structure:
```
Fe
1.0
1.221 -2.194 0.000
1.221 2.194 0.000
-0.009 0.000 3.977
Fe
2
Direct
0.158 0.842 0.750 Fe
0.842 0.158 0.250 Fe
```

Largest 10 diffraction maxima, low angle first, 2θ = 15–90°:
41.15 deg, I 9.6; 42.36 deg, I 32.4; 45.63 deg, I 43.0; 47.32 deg, I 64.3; 48.41 deg, I 100.0; 63.93 deg, I 8.5; 64.08 deg, I 8.5; 75.82 deg, I 16.1; 85.61 deg, I 9.9; 86.32 deg, I 8.1

***

[3]
Theoretical X-ray powder pattern
Compound: Fe
Radiation: Cu Kα X-rays
Structure: a DFT-relaxed cell (PBE, the Materials Project)
Lines closer than 0.1° are merged.

Structure:
```
Fe
1.0
8.618 0.000 0.000
0.000 8.618 0.000
0.000 0.000 4.574
Fe
28
Direct
0.019 0.367 0.000 Fe
0.031 0.229 0.500 Fe
0.095 0.095 0.000 Fe
0.133 0.519 0.500 Fe
0.215 0.785 0.246 Fe
0.215 0.785 0.754 Fe
0.229 0.031 0.500 Fe
0.271 0.531 0.000 Fe
0.285 0.285 0.254 Fe
0.285 0.285 0.746 Fe
0.367 0.019 0.000 Fe
0.405 0.595 0.500 Fe
0.469 0.729 0.000 Fe
0.481 0.867 0.500 Fe
0.519 0.133 0.500 Fe
0.531 0.271 0.000 Fe
0.595 0.405 0.500 Fe
0.633 0.981 0.000 Fe
0.715 0.715 0.254 Fe
0.715 0.715 0.746 Fe
0.729 0.469 0.000 Fe
0.771 0.969 0.500 Fe
0.785 0.215 0.246 Fe
0.785 0.215 0.754 Fe
0.867 0.481 0.500 Fe
0.905 0.905 0.000 Fe
0.969 0.771 0.500 Fe
0.981 0.633 0.000 Fe
```

Largest 10 diffraction maxima, low angle first, 2θ = 15–90°:
42.68 deg, I 47.6; 43.29 deg, I 57.7; 44.86 deg, I 57.3; 46.15 deg, I 39.2; 47.16 deg, I 30.3; 47.85 deg, I 100.0; 49.07 deg, I 26.8; 49.85 deg, I 55.5; 78.46 deg, I 24.3; 79.59 deg, I 22.0

***

[4]
Theoretical X-ray powder pattern
Compound: Fe
Radiation: Cu Kα X-rays
Structure: a DFT-relaxed cell (PBE, the Materials Project)
Lines closer than 0.1° are merged.

Structure:
```
Fe
1.0
2.490 0.000 0.000
-1.245 2.156 0.000
0.000 0.000 2.394
Fe
1
Direct
0.000 0.000 0.000 Fe
```

Largest 6 diffraction maxima, low angle first, 2θ = 15–90°:
37.57 deg, I 46.1; 41.89 deg, I 100.0; 57.52 deg, I 72.4; 76.52 deg, I 14.4; 80.20 deg, I 4.2; 88.53 deg, I 19.6

***

[5]
Theoretical X-ray powder pattern
Compound: Fe
Radiation: Cu Kα X-rays
Structure: a DFT-relaxed cell (PBE, the Materials Project)
Lines closer than 0.1° are merged.

Structure:
```
Fe
1.0
2.466 0.000 0.000
-1.233 2.135 0.000
0.000 0.000 3.900
Fe
2
Direct
0.333 0.667 0.250 Fe
0.667 0.333 0.750 Fe
```

Largest 6 diffraction maxima, low angle first, 2θ = 15–90°:
└──
The crystal structures stop here.

Christine Day is a young Broadway singer in New York City auditioning for a show, who comes across an old piece of music written nearly 100 years before by an unknown musician named Erik Destler. Destler, it seems, had made a pact with the devil (maybe by accident) so the world would love his music. The catch was Erik’s face would be left horribly disfigured forever. Once Christine sings his music for an audition, she is hit with a sandbag. Thus follows a presumed flashback into the past roughly around 1881, where she was the star in the London Opera House. There, she is coached by a mysterious “Phantom” who will do anything to make his protégé a star, even if it means murder. Christine soon finds out that her teacher is in fact Destler, whom she comes to loathe.
Some have criticized this film of having an imbalance. That its too much a beautiful period piece to satisfy the horror-gore hound that it has too much graphic violence for the period piece fan to stomach. This assessment doesn’t understand at all what the film is going for. Dwight H Little’s take on The Phantom of the Opera is a love letter to horror of a different era. He’s basically done The Phantom Of The Opera as if it was produced by Hammer Horror. But, with a more modern touch on the effects and what they’re allowed to show. I’m guessing most of those who saw this film weren’t familiar with Hammer or not picking up on this.
Speaking of the film’s gore, its absolutely rich and outstanding. Phantom ’89 is a brutal film. Robert Englund sews skin to his face, a guy gets his head sawed off with a knife, buckets of blood fill the cobblestone streets and much more. Apparently for as much as we see, there was a ton excised from the film due to MPAA cuts. It makes sense, as 1989 was one of the years the MPAA went crazy on neutering the horror genre. The makeup work from Kevin Yagher is also terrific and holds up as well. Englund brought him over from the Elm Street films to do his work here, and its looks marvelous and squeemishly real.
There are some good performances here in this film as well. Highlighting it all is of course Englund, who shows he capable of being a great horror actor, not just one character. He really relished in the importance of this role, and the film history of it too. And he doesn’t let it down. He’s devious, sinister and seductive in the part of the Phantom. Every time he’s on screen he’s chewing the scenery and having a wicked good time. Its also a unique situation for him in that he’s playing a character with much more romantic lead quality as opposed to ones that are normally more based in subtext with romance if at all to begin with.
Dwight H Little’s Phantom isn’t an unheralded masterpiece, but it sure isn’t garbage. Its a very interesting and amusing take on the story. This London Gothic tale has its heart in Hammer and delivers the thrills of the 1980s slasher film. All set to some under appreciated pieces of music crafted for the film. Add to that, we get another solid mark on Jill Schoelen’s Scream Queen resume. I remember not being to keen on this one when I saw it as a wee lad, (You guessed it, I rented it cuz the box said Robert Englund and tried to make it sound like it was better than Freddy) but after all these years I found a solid appreciation for this. Something I definitely look forward to looking over again.

• The article is interrupted by materials data:
- - -
Diffraction record for UH2CO3F3. The X-ray diffraction stick pattern is theoretical, not measured: it uses a PBE-relaxed structure and Cu Ka.
No peak broadening, texture or thermal motion is included.

Principal peaks in the range 2θ from 10° to 90°, by intensity:
(hkl), Position (°2θ), d [Å], intensity
2 0 0, 10.2, 8.674, 1000
1 1 1, 18.6, 4.764, 614
3 1 0, 20.9, 4.250, 578
2 0 2, 24.2, 3.674, 465
2 0 -2, 22.0, 4.042, 440
1 1 0, 15.0, 5.893, 435

Atomic structure:
```
data_UH2CO3F3
_chemical_formula_sum 'U8 H16 C8 O24 F24'
_symmetry_space_group_name_H-M 'C 1 2/c 1'
_symmetry_Int_Tables_number 15
_cell_length_a 17.480
_cell_length_b 6.266
_cell_length_c 8.633
_cell_angle_alpha 90.00
_cell_angle_beta 97.02
_cell_angle_gamma 90.00
loop_
_symmetry_equiv_pos_as_xyz
'x,y,z'
'-x,-y,-z'
'-x,y,-z+1/2'
'x,-y,z+1/2'
'x+1/2,y+1/2,z'
'-x+1/2,-y+1/2,-z'
'-x+1/2,y+1/2,-z+1/2'
'x+1/2,-y+1/2,z+1/2'
loop_
_atom_site_label
_atom_site_fract_x
_atom_site_fract_y
_atom_site_fract_z
U1 0.174 0.114 0.128
H1 0.081 0.477 0.686
H2 0.137 0.476 0.340
C1 0.004 0.110 0.540
O1 0.052 0.237 0.985
O2 0.068 0.147 0.625
O3 0.108 0.408 0.247
F1 0.157 0.043 0.391
F2 0.201 0.399 0.976
F3 0.236 0.195 0.710
```


Record 1
The following is a computed powder diffraction line list of Li4CoRuO6. It was derived from a PBE+U-relaxed structure, using a wavelength of 1.5418 Å.
No peak broadening, texture or thermal motion is included.

Top 10 peaks for 15 to 90 degrees two-theta, in order of rising 2θ:
Position (°2θ), I (rel.)
18.46, 100.0
20.32, 23.0
21.25, 40.3
23.80, 29.8
27.59, 19.9
36.14, 42.5
43.80, 81.7
63.43, 22.8
63.90, 22.6
67.14, 15.4

Cell lengths 5.0476, 8.7387, 5.0927 Å; angles 90.00, 109.35, 90.00 degrees
Space group C2 (No. 5)
Unique sites:
Li1 0.0000 0.0000 0.0000 [2 per cell]
Li2 0.0000 0.1594 0.5000 [2 per cell]
Li3 0.0000 0.5054 0.5000 [2 per cell]
Li4 0.0000 0.8365 0.5000 [2 per cell]
Co1 0.0000 0.6670 0.0000 [2 per cell]
Ru1 0.0000 0.3332 0.0000 [2 per cell]
O1 0.2235 0.5026 0.2306 [4 per cell]
O2 0.2438 0.6757 0.7736 [4 per cell]
O3 0.2494 0.8220 0.2277 [4 per cell]


Record 2
The following is a computed powder diffraction line list of SmMo5O8. It was derived from a PBE+U-relaxed structure, using a wavelength of 1.5418 Å.
No peak broadening, texture or thermal motion is included.

Top 10 peaks for 15 to 90 degrees two-theta, in order of rising 2θ:
Position (°2θ), I (rel.)
26.80, 21.8
28.07, 25.1
28.43, 21.7
30.20, 100.0
31.66, 55.1
32.69, 29.1
33.07, 55.0
34.12, 22.0
34.38, 22.4
34.76, 33.8

Cell lengths 8.3862, 9.2780, 10.7473 Å; angles 90.00, 109.20, 90.00 degrees
Space group P2_1/c (No. 14)
Unique sites:
Sm1 0.1946 0.0149 0.4616 [4 per cell]
Mo1 0.0979 0.1391 0.8114 [4 per cell]
Mo2 0.1094 0.6482 0.4820 [4 per cell]
Mo3 0.2967 0.6394 0.2721 [4 per cell]
Mo4 0.3017 0.1248 0.1364 [4 per cell]
Mo5 0.4905 0.1459 0.9219 [4 per cell]
O1 0.0804 0.5020 0.6343 [4 per cell]
O2 0.0944 0.5007 0.1460 [4 per cell]
O3 0.1039 0.2492 0.4905 [4 per cell]
- - -

Encoding: MPEG-4 AVC
Resolution: 1080p
Aspect Ratio: 1.85:1
Clarity/Detail: This is a nice cinematic classic print look. The film is a tad soft, but features plenty of impressive detail and looks incredibly cinematic. It tries to keep with a period “look” so things appear very candle or lantern lit for the most part. If you have seen Halloween 4, this film looks very similar to that for the most part, mainly because the director of both is Dwight H Little.
Black Levels: Blacks are natural and a big player throughout. I didn’t think there was any crushing or detail incredibly hidden that didn’t go further than the film’s intended look.
Color Reproduction: Colors are kind of downplayed. And because its a period piece, things a re a bit muted and more dingy.
Flesh Tones: Natural and consistent. Details of Englund’s face are fantastic without looking like they’re revealing too much of the trick. It holds up really well.
Noise/Artifacts: A nice healthy layer of grain along with some dirt and pecs throughout.

Audio Format(s): English 5.1 DTS-HD MA, English 2.0 DTS-HD MA
Subtitles: English
Dynamics: This is a solid track that does the trick quite nicely. There’s a good balance of score, vocals and effects in the mix. Some really good crisp slicing and dicing effects take center stage in this mix. There are also lighter sounds that are clearly defined and complimentarily heard in this mix nicely.
Low Frequency Extension: Some light enhancements, but it isn’t a real strong outing for the subwoofer. Attacks and big score strikes get a nice boost.
Surround Sound Presentation: There are some good moments from the rear speakers with musical bits, but mostly its ambiance. The front speakers do a nice job of accurately representing what’s on screen.
Dialogue Reproduction: Dialogue is at a nice volume in the mix, clean and clear.

The reverse side of the cover art insert features promotional images.
Audio Commentary
- With Director Dwight H Little and Star Robert Englund
Behind The Mask: The Making Of The Phantom Of The Opera (HD, 37:43) – A wonderful history of the production through interviews with Dwight H Little, Robert Englund, Jill Schoelen, Kevin Yagher, John Carl Buechler and others. Robert Englund always amuses me with his memories and passion in discussing his horror projects.
Theatrical Trailer (HD, 1:53)
TV Spot (HD, :31)
Radio Spots (HD, 2:04)
Still Gallery – 65 images that consist of promotional stills and the poster.
More From Scream Factory – Trailers for Candyman: Farewell To The Flesh, Phantom Of The Paradise, From A Whisper To A Scream

## Records of crystals from another source follow
<<<
(1)
This entry pairs a crystal structure of V6GaGe with its simulated PXRD pattern. Radiation: Cu Kα X-rays. Structure: a DFT-relaxed cell (GGA-PBE, the Materials Project).
No peak broadening, texture or thermal motion is included.

Most intense lines, 2θ from 10° to 90°, by intensity:
- 46.6°, d = 1.951 Å, rel. 100, hkl 2 1 1
- 42.3°, d = 2.137 Å, rel. 85, hkl 2 0 1
- 37.7°, d = 2.389 Å, rel. 47, hkl 2 0 0
- 74.3°, d = 1.277 Å, rel. 46, hkl 3 2 1
- 71.1°, d = 1.325 Å, rel. 16, hkl 3 2 0
- 80.4°, d = 1.194 Å, rel. 14, hkl 4 0 0
- 26.4°, d = 3.379 Å, rel. 8, hkl 1 1 0
- 68.0°, d = 1.379 Å, rel. 3, hkl 2 2 2

Structural model:
Cell lengths 4.778, 4.778, 4.778 Å; angles 90.00, 90.00, 90.00 degrees
Space group Pm-3 (No. 200)
Asymmetric unit:
V1 0.000 0.251 0.500 (multiplicity 6)
Ga1 0.000 0.000 0.000 (multiplicity 1)
Ge1 0.500 0.500 0.500 (multiplicity 1)

---

(2)
This entry pairs a crystal structure of GaH with its simulated PXRD pattern. Radiation: Cu Kα X-rays. Structure: a DFT-relaxed cell (GGA-PBE, the Materials Project).
No peak broadening, texture or thermal motion is included.

Most intense lines, 2θ from 10° to 90°, by intensity:
- 35.9°, d = 2.501 Å, rel. 100, hkl 1 0 1
- 31.5°, d = 2.836 Å, rel. 32, hkl 0 0 2
- 32.1°, d = 2.786 Å, rel. 24, hkl 1 0 0
- 59.0°, d = 1.565 Å, rel. 24, hkl 1 0 3
- 66.9°, d = 1.399 Å, rel. 21, hkl 1 1 2
- 57.3°, d = 1.609 Å, rel. 17, hkl 1 1 0
- 45.6°, d = 1.988 Å, rel. 17, hkl 1 0 2
- 69.5°, d = 1.353 Å, rel. 14, hkl 2 0 1

Structural model:
Cell lengths 3.2173, 3.2173, 5.6730 Å; angles 90.00, 90.00, 120.00 degrees
Space group P6_3mc (No. 186)
Asymmetric unit:
Ga1 0.3333 0.6667 0.0000 (multiplicity 2)
H1 0.3333 0.6667 0.3403 (multiplicity 2)

~~~~~

Cs: calculated X-ray diffraction stick pattern (Cu Kα, 1.54184 Å), based on a cell relaxed with GGA-PBE.
Peak positions follow from Bragg's law for the DFT cell and can differ from measured ones.

Principal peaks in the range 2θ = 10–90°, sorted by position:
2θ (°), d (Å), Rel. int.
19.92, 4.457, 100
23.04, 3.860, 53
32.82, 2.729, 43
38.69, 2.327, 54
40.48, 2.228, 16
51.61, 1.771, 23
53.06, 1.726, 21
58.58, 1.576, 16
62.52, 1.486, 17
72.43, 1.305, 17

Cell: 7.719 7.719 7.719 Å, 90.00 90.00 90.00°
Space group Fm-3m (No. 225)
Symmetry-distinct sites (fractional):
Cs 0.000 0.000 0.000 [4 per cell]

~~~~~

# 1
Computed X-ray diffraction stick pattern of SmSi3Rh5 for CuKα, from a PBE-relaxed structure.

Atomic structure:
```
SmSi3Rh5
1.0
15.707 0.000 0.000
-7.854 13.603 0.000
0.000 0.000 3.904
Sm Si Rh
6 18 30
direct
0.100 0.706 0.250 Sm
0.294 0.394 0.250 Sm
0.394 0.100 0.750 Sm
0.606 0.900 0.250 Sm
0.706 0.606 0.750 Sm
0.900 0.294 0.750 Sm
0.063 0.433 0.250 Si
0.120 0.871 0.750 Si
0.129 0.249 0.750 Si
0.241 0.681 0.750 Si
0.249 0.120 0.250 Si
0.319 0.559 0.750 Si
0.371 0.937 0.250 Si
0.433 0.371 0.750 Si
0.441 0.759 0.750 Si
0.559 0.241 0.250 Si
0.567 0.629 0.250 Si
0.629 0.063 0.750 Si
0.681 0.441 0.250 Si
0.751 0.880 0.750 Si
0.759 0.319 0.250 Si
0.871 0.751 0.250 Si
>>>

The Phantom Of The Opera from 1989 is another one in a long line of films from horror past that didn’t set the world on fire or were widely panned upon release, but years later come back to show they deserved another look or didn’t hit their audience right away. Its solid riff on Hammer films of the 60s blended with the brutality of a 1980s slasher film. Scream Factory gives this one a very nice Blu-ray release. I really liked the look of the video transfer quite a bit and the 5.1 audio does a solid job (The 2.0 is very satisfactory too). The extras don’t look like much, but I love vintage trailers and the Red Shirt documentaries on making of are worth at least a 3 star rating alone. This one is terrific and brings back all the film’s major players. It doesn’t say Collector’s Edition on it, but its about as close to can be without being, I supposed. Definitely grab this one when it comes out.
Nice! I want this!